# Job
Transcribe the block further down verbatim.

# Contents
........
Below is a relaxed structure of K2P3H5O11, with properties calculated at the PBE level.

extended XYZ file:
```
84
Lattice="-5.0012 -5.0918 14.5998 -0.5365 -10.6395 12.2721 6.9423 3.3490 5.3340" Properties=species:S:1:pos:R:3 pbc="T T T"
O -1.4435 -11.2620 19.3366
O 1.9899 -8.2378 17.9111
O -0.7510 -3.5594 8.3478
O 3.2435 -6.5842 21.3978
O 0.7454 -2.1574 13.4703
O 1.9223 -6.5251 14.7679
O 3.2033 -2.4853 10.7629
O -3.5325 -7.3634 16.3135
O 0.7010 -9.8242 22.1393
O -1.7987 -9.8971 21.4431
O -3.2045 -6.1424 12.9640
O 2.8480 -1.1204 12.8693
O 1.3837 -3.3032 15.6873
O 4.1463 -0.0949 10.9576
O -0.2995 -9.3345 24.4517
O 0.7036 -2.5582 10.0667
O -2.2006 -3.8414 12.3837
O 0.2739 -7.4082 22.9180
O 1.7041 -3.0479 7.7542
O -0.8289 -5.8303 19.9983
O 1.5757 -5.3762 22.7345
O 1.8234 -4.3612 13.3755
O 4.6090 -6.2400 19.2419
O -0.4188 -8.0212 18.8304
O -0.5177 -5.8573 17.4381
O -0.1765 -7.3522 12.0241
O -2.6244 -6.7879 18.5933
O -0.5854 -4.1446 14.2949
O -0.1711 -7.0062 9.4715
O 1.5811 -5.0302 20.1819
O 2.2335 -6.5521 12.2077
O -1.8390 -5.7981 10.8082
O 1.1307 -4.9742 9.2880
O 2.8561 -1.3381 16.3598
O 0.6592 -10.2250 18.7356
O 4.9371 -5.0190 15.8924
O 3.6052 -8.5410 19.8222
O 2.1556 -8.8230 23.8582
O 0.0209 -9.0792 16.5186
O 4.0290 -5.5945 13.6126
O -1.4515 -11.0443 15.8462
O 5.1449 -2.0892 12.2279
O -3.7403 -10.2932 19.9781
O -2.7417 -12.2875 21.2483
H -3.0075 -7.0618 17.6387
H 1.6380 -2.4763 10.4460
H 1.0425 -6.3365 22.7932
H -0.3211 -10.6298 19.0274
H -1.4020 -2.7204 8.6200
H -1.3139 -4.7960 7.5082
H -0.2334 -9.9061 21.7600
H 0.1701 -5.5214 20.1196
H -0.8445 -10.2483 16.1719
H 2.8989 -8.4134 19.0361
H 1.7256 -1.7526 13.1785
H 2.7184 -7.5864 24.6977
H -1.4943 -3.9690 13.1698
H 1.2345 -6.8610 12.0863
H -2.4514 -9.1162 21.8505
H 4.4121 -5.3206 14.5672
H 2.8066 -9.6620 23.5860
H 2.2491 -2.1341 16.0340
H 3.8560 -3.2662 10.3554
H 0.3620 -6.0459 9.4127
P 0.7498 -3.5709 8.8389
P 2.4786 -5.8120 13.5689
P 0.6548 -8.8115 23.3670
P -2.8579 -5.1686 11.8745
P 4.2625 -7.2138 20.3315
P 3.8099 -1.3857 11.7202
P 0.7874 -3.4776 14.2956
P -1.0740 -6.5704 18.6370
P -2.4053 -10.9967 20.4857
P -1.0185 -7.2212 10.7604
P 0.6171 -8.9048 17.9104
P 2.4231 -5.1612 21.4455
K -1.0304 -7.0320 14.7680
K 0.0000 0.0000 0.0000
K 3.4711 1.6745 2.6670
K 2.4350 -5.3504 17.4379
K -0.0006 -2.5756 5.3638
K 3.1840 -0.5452 8.1802
K -1.7794 -11.8372 24.0258
K 1.4052 -9.8068 26.8421
```

## Properties
Symmetry: No. 15
E_form: -2.19 eV per atom
E: -6.1104 eV/atom
E (MP2020): -6.470 eV per atom

* * * * *

Li6V3P8O29 | GGA+U | optimized geometry

The symmetry is P1 (1). The value obtained for the energy above the lowest structure with this stoichiometry is 0.11 kcal/mol of atoms. Its energy of formation from the pure elements is -2.6580 eV/atom. For the total DFT energy (no corrections), the calculation gives -322.746 eV per formula unit. The calculation puts the MP2020-corrected energy at -7.560 eV/atom.

Unit cell a=9.817 b=9.840 c=14.079 alpha=90.28 beta=90.19 gamma=119.91
Element x y z (fractional)
Li (0.000, 0.000, 0.000)
Li (0.001, 0.583, 0.498)
Li (0.137, 0.570, 0.998)
Li (0.146, 0.140, 0.501)
Li (0.218, 0.857, 0.065)
Li (0.234, 0.903, 0.568)
Li (0.325, 0.227, 0.122)
Li (0.558, 0.998, 0.498)
Li (0.565, 0.140, 0.002)
Li (0.573, 0.582, 0.453)
Li (0.576, 0.586, 0.954)
Li (0.901, 0.239, 0.671)
V (0.234, 0.343, 0.312)
V (0.237, 0.472, 0.808)
V (0.671, 0.906, 0.306)
V (0.674, 0.346, 0.809)
V (0.796, 0.907, 0.809)
V (0.801, 0.472, 0.311)
P (0.008, 0.993, 0.215)
P (0.010, 0.592, 0.714)
P (0.142, 0.130, 0.718)
P (0.148, 0.592, 0.218)
P (0.324, 0.689, 0.401)
P (0.327, 0.226, 0.901)
P (0.455, 0.821, 0.900)
P (0.458, 0.219, 0.400)
P (0.548, 0.135, 0.217)
P (0.549, 0.998, 0.715)
P (0.568, 0.571, 0.193)
P (0.568, 0.573, 0.691)
P (0.900, 0.237, 0.432)
P (0.904, 0.242, 0.931)
P (0.928, 0.822, 0.399)
P (0.929, 0.688, 0.899)
O (0.013, 0.670, 0.623)
O (0.014, 0.704, 0.799)
O (0.020, 0.891, 0.300)
O (0.022, 0.924, 0.123)
O (0.033, 0.919, 0.478)
O (0.038, 0.697, 0.977)
O (0.049, 0.235, 0.394)
........

# Here it is
Below is a relaxed structure of K2P3H5O11, with properties calculated at the PBE level.

extended XYZ file:
```
84
Lattice="-5.0012 -5.0918 14.5998 -0.5365 -10.6395 12.2721 6.9423 3.3490 5.3340" Properties=species:S:1:pos:R:3 pbc="T T T"
O -1.4435 -11.2620 19.3366
O 1.9899 -8.2378 17.9111
O -0.7510 -3.5594 8.3478
O 3.2435 -6.5842 21.3978
O 0.7454 -2.1574 13.4703
O 1.9223 -6.5251 14.7679
O 3.2033 -2.4853 10.7629
O -3.5325 -7.3634 16.3135
O 0.7010 -9.8242 22.1393
O -1.7987 -9.8971 21.4431
O -3.2045 -6.1424 12.9640
O 2.8480 -1.1204 12.8693
O 1.3837 -3.3032 15.6873
O 4.1463 -0.0949 10.9576
O -0.2995 -9.3345 24.4517
O 0.7036 -2.5582 10.0667
O -2.2006 -3.8414 12.3837
O 0.2739 -7.4082 22.9180
O 1.7041 -3.0479 7.7542
O -0.8289 -5.8303 19.9983
O 1.5757 -5.3762 22.7345
O 1.8234 -4.3612 13.3755
O 4.6090 -6.2400 19.2419
O -0.4188 -8.0212 18.8304
O -0.5177 -5.8573 17.4381
O -0.1765 -7.3522 12.0241
O -2.6244 -6.7879 18.5933
O -0.5854 -4.1446 14.2949
O -0.1711 -7.0062 9.4715
O 1.5811 -5.0302 20.1819
O 2.2335 -6.5521 12.2077
O -1.8390 -5.7981 10.8082
O 1.1307 -4.9742 9.2880
O 2.8561 -1.3381 16.3598
O 0.6592 -10.2250 18.7356
O 4.9371 -5.0190 15.8924
O 3.6052 -8.5410 19.8222
O 2.1556 -8.8230 23.8582
O 0.0209 -9.0792 16.5186
O 4.0290 -5.5945 13.6126
O -1.4515 -11.0443 15.8462
O 5.1449 -2.0892 12.2279
O -3.7403 -10.2932 19.9781
O -2.7417 -12.2875 21.2483
H -3.0075 -7.0618 17.6387
H 1.6380 -2.4763 10.4460
H 1.0425 -6.3365 22.7932
H -0.3211 -10.6298 19.0274
H -1.4020 -2.7204 8.6200
H -1.3139 -4.7960 7.5082
H -0.2334 -9.9061 21.7600
H 0.1701 -5.5214 20.1196
H -0.8445 -10.2483 16.1719
H 2.8989 -8.4134 19.0361
H 1.7256 -1.7526 13.1785
H 2.7184 -7.5864 24.6977
H -1.4943 -3.9690 13.1698
H 1.2345 -6.8610 12.0863
H -2.4514 -9.1162 21.8505
H 4.4121 -5.3206 14.5672
H 2.8066 -9.6620 23.5860
H 2.2491 -2.1341 16.0340
H 3.8560 -3.2662 10.3554
H 0.3620 -6.0459 9.4127
P 0.7498 -3.5709 8.8389
P 2.4786 -5.8120 13.5689
P 0.6548 -8.8115 23.3670
P -2.8579 -5.1686 11.8745
P 4.2625 -7.2138 20.3315
P 3.8099 -1.3857 11.7202
P 0.7874 -3.4776 14.2956
P -1.0740 -6.5704 18.6370
P -2.4053 -10.9967 20.4857
P -1.0185 -7.2212 10.7604
P 0.6171 -8.9048 17.9104
P 2.4231 -5.1612 21.4455
K -1.0304 -7.0320 14.7680
K 0.0000 0.0000 0.0000
K 3.4711 1.6745 2.6670
K 2.4350 -5.3504 17.4379
K -0.0006 -2.5756 5.3638
K 3.1840 -0.5452 8.1802
K -1.7794 -11.8372 24.0258
K 1.4052 -9.8068 26.8421
```

## Properties
Symmetry: No. 15
E_form: -2.19 eV per atom
E: -6.1104 eV/atom
E (MP2020): -6.470 eV per atom

* * * * *

Li6V3P8O29 | GGA+U | optimized geometry

The symmetry is P1 (1). The value obtained for the energy above the lowest structure with this stoichiometry is 0.11 kcal/mol of atoms. Its energy of formation from the pure elements is -2.6580 eV/atom. For the total DFT energy (no corrections), the calculation gives -322.746 eV per formula unit. The calculation puts the MP2020-corrected energy at -7.560 eV/atom.

Unit cell a=9.817 b=9.840 c=14.079 alpha=90.28 beta=90.19 gamma=119.91
Element x y z (fractional)
Li (0.000, 0.000, 0.000)
Li (0.001, 0.583, 0.498)
Li (0.137, 0.570, 0.998)
Li (0.146, 0.140, 0.501)
Li (0.218, 0.857, 0.065)
Li (0.234, 0.903, 0.568)
Li (0.325, 0.227, 0.122)
Li (0.558, 0.998, 0.498)
Li (0.565, 0.140, 0.002)
Li (0.573, 0.582, 0.453)
Li (0.576, 0.586, 0.954)
Li (0.901, 0.239, 0.671)
V (0.234, 0.343, 0.312)
V (0.237, 0.472, 0.808)
V (0.671, 0.906, 0.306)
V (0.674, 0.346, 0.809)
V (0.796, 0.907, 0.809)
V (0.801, 0.472, 0.311)
P (0.008, 0.993, 0.215)
P (0.010, 0.592, 0.714)
P (0.142, 0.130, 0.718)
P (0.148, 0.592, 0.218)
P (0.324, 0.689, 0.401)
P (0.327, 0.226, 0.901)
P (0.455, 0.821, 0.900)
P (0.458, 0.219, 0.400)
P (0.548, 0.135, 0.217)
P (0.549, 0.998, 0.715)
P (0.568, 0.571, 0.193)
P (0.568, 0.573, 0.691)
P (0.900, 0.237, 0.432)
P (0.904, 0.242, 0.931)
P (0.928, 0.822, 0.399)
P (0.929, 0.688, 0.899)
O (0.013, 0.670, 0.623)
O (0.014, 0.704, 0.799)
O (0.020, 0.891, 0.300)
O (0.022, 0.924, 0.123)
O (0.033, 0.919, 0.478)
O (0.038, 0.697, 0.977)
O (0.049, 0.235, 0.394)